Special Educational Needs and Disabilities
Hello and welcome to the SEND area of our school website. My name is Mrs Robb and I am the qualified SENDCO at Preston. If you have any queries about our SEND provision, please feel free to contact me and I will happily help. You can contact us via the school office (01642784735) or via email SENDCO@prestonprimary.co.uk
Effective from the 1st of September 2015 the government issued new guidance for working with children with Special Educational needs and disabilities. In line with this, school in conjunction with governors, have written a SEND information report, our local offer, and also a SEND policy. Our SEND team are available via email or for telephone appointments if you have concerns or queries about our SEND provision. We support all children including those who are in the care of the Local Authority. Further information can be found in our admissions page.
Hearing and Visual Impairment Enhanced Mainstream Provision
Preston Primary School is built upon a foundation of holistic excellence for all. We believe this can only be achieved where all members of staff take responsibility for progress of all pupils, including those with SEND, not just academically but socially and emotionally. We have two members of staff who have the relevant SENDCo qualification or experience, one of whom is the executive head teacher.
At Preston we are fully committed to inclusive education and we have challenged our thinking and the way we approach integration and inclusion in a mainstream environment. Having a hearing or a visual impairment does not need to be a barrier to learning. With the correct support, resources and intervention we believe that all children can cope well and can meet their potential in a mainstream environment. Our success in gaining the Enhanced Mainstream Provision has deepened our breadth of understanding technology, practical support and type of intervention we can offer to ensure that the children’s needs are not a barrier to accessing high quality teaching and learning in a mainstream environment. We are excited to continue learning and developing our skills and expertise as a team as we welcome the children into our provision.
Our enhanced provision is an integral part of our mainstream school and an amazing addition to our Preston family, with bespoke learning opportunities to address the given needs of individual children. We have dedicated teachers who ensure that children with Hearing or Visual impairments are fully supported and integrated into the mainstream environment. Mrs Addison is our teacher that leads on our base. If you would like any more information about our Enhanced Mainstream Provision, please call or email and we will happily help. If you have any concerns or complaints about our SEND provision within school please contact Mrs Robb in the first instance.
ACORNS SEND Unit for Communication and Interaction with Cognition and Learning Needs
As of September 2024, we are excited to be working with Stockton local Authority to open a new specialist provision unit for children with a primary SEND need of Communication and Interaction. The school will have its own place in the Preston family and is situated on site. At Preston we believe in all children being able to reach their potential, and our holistic approach to teaching and learning has equipped us with the skills to be able to work with the LA to offer this exciting development for children in our borough. Our Acorns unit staff are passionate about making a difference and have a wealth of SEND experience between them. There is strict admissions criteria for Acorns and this is controlled by Stockton Borough Council.
Impact Statement
The impact of our efforts and practice with children who have Special Educational Needs and Disabilities is that almost all remain in mainstream provision, with an appropriate level of support, until the end of Year 6. No child is ever turned away and we strive to adapt our practice and setting to accommodate even the most complex of needs. We work closely with additional agencies to ensure that our provision meets the needs of the pupils and our teaching is tailored appropriately. If any parent is unsure about whether their child will be able to access a mainstream school they are asked to contact the Headteacher to view the school and discuss their concerns.
Admissions of all pupils are treated equally and no SEND children or CiOC children are disadvantaged by the process. Preston Primary School follows Stockton Local Authority admissions policy. Please see the admissions policy for further details. If you would like support from someone outside of school SENDIAS can be found here.
The school local offer was created in September 2024 and will be reviewed in September 2025
Click here for a link to our SEND policy
The Trust Supporting Pupils With Medical Conditions policy can be found here
The Trust Administering Medication policy can be found here
Click here for a link to our Equality policy and objectives
Click here for our accessibility plan
About our SEND staff
At Preston, we have invested a huge amount of time, training and resources into ensuring there is a wealth of expertise and knowledge within our SEND base. We have built a SEND team with a vast range of experience, which means that whenever you need to speak to someone about your child, you can rest assured your queries will be dealt with efficiently.
We pride ourselves on building strong working relationships with parents. We hold termly meetings to discuss targets from the children’s Individual Education Plans (IEPs). We have recently introduced our own coffee mornings where parents can get to know each other and support each other. In addition to this, we are available for regular contact via email and phone to ensure that families feel supported in their SEND journey at Preston.
We have a highly experienced team within our SEND department. Each staff member brings their own range of skills and qualities. Some Teaching Assistants provide bespoke support for children in the classrooms, tailoring and modifying their curriculum with pre and post teach sessions. Some staff members carry out 1:1 or small group intervention with children on a regular basis. Please read on to find out more about the type of intervention we offer.
Children with Special Educational Needs thrive at Preston, both socially and academically. Each child is treated individually and their talents are nurtured. We take pride in ensuring that children with SEND have equal opportunity to all activities in school and will tailor these activities so that they are suitable for all.
Children make progress at their own pace and a bespoke package of support is created depending what we feel is appropriate. If children require extra resources or equipment that school do not have, we apply to the Local Authority for High Needs Funding. This ensures we can offer the support needed for children to achieve their full potential.
Social, Emotional, Mental health and wellbeing

Now more than ever, we need to make sure our children are feeling emotionally safe and secure. Their mental health and wellbeing has always been our priority. We have dedicated time in our school day to focus on this, including mindfulness and calming activities. If children need extra support, we have a range of teaching and intervention strategies which we tailor to each individual.
Lego Therapy

Our EMP staff are all trained in Lego therapy. This is a social and emotional intervention used to boost confidence, teamwork skills and relationships between children. Children take on the roles of ‘Engineer’, ‘Supplier’ and ‘Builder’ and work together to build a Lego masterpiece!
Fine motor skills

We run fine motor skills groups in school for children who may need a little extra help to build muscle strength in their hands and improve coordination. The children enjoy trying out new games and skills such as threading, cutting, 3D jigsaws and flipping frogs!
Gross motor skills

Some children need extra support with their gross motor skills such as balancing, throwing, catching and negotiating spaces. These groups are always great fun while focusing on key skills. Children are challenged with activities such as obstacle courses, hoola-hooping and ball games.
Visual Impairment support

Children access a range of interventions, following guidance from our VI teacher Mrs Addison. This ranges from technology in the classroom, such as iPad mirroring software and magnifiers, to life skills lessons such as making drinks and snacks using specialist kitchen tools. Staff are also trained to carry out visual stress assessments, to support any child in school who may be struggling with reading or showing signs of dyslexia.
Hearing impairment support

### Here the text breaks off for molecular data
........
The following is a quantum chemistry calculation of a structure of composition C14H14N3O3Pd, from the Open Molecules 2025 dataset.

Structure (XYZ):
```
35
Properties=species:S:1:pos:R:3:forces:R:3
Pd -0.423442 1.283914 0.477991 0.30 -0.26 -0.31
O 2.051803 4.330585 0.957466 -0.03 -0.02 -0.02
C 1.435449 3.374796 0.576841 0.14 -0.04 -0.20
O 0.518746 2.743723 1.274760 -0.16 0.00 0.25
C 1.688597 2.747702 -0.776500 -0.02 0.08 0.08
C 2.725515 3.163288 -1.584957 0.00 0.00 -0.05
C 2.950646 2.489104 -2.774201 0.02 0.02 0.02
C 2.137356 1.415619 -3.103418 -0.02 0.00 0.00
C 1.112515 1.061965 -2.245573 0.04 0.06 0.00
N 0.882173 1.730266 -1.114693 -0.10 -0.03 0.07
H 3.332551 3.994325 -1.253768 -0.01 0.00 0.02
H 3.759239 2.784612 -3.428802 -0.01 0.01 0.00
H 2.292417 0.849924 -4.010711 -0.01 -0.01 0.00
H 0.473705 0.219624 -2.460459 -0.01 -0.04 -0.01
C 1.676917 -2.251074 2.936973 0.02 0.01 -0.01
C 0.618774 -1.375111 2.332897 0.00 -0.05 0.01
O 0.893422 -0.430873 1.599634 -0.13 0.09 0.07
N -0.667059 -1.698610 2.614841 -0.03 -0.03 -0.07
C -1.785681 -0.924883 2.120150 0.07 0.01 0.03
C -2.094274 -1.132072 0.651406 0.01 -0.02 0.04
C -2.919312 -2.168067 0.247571 0.01 -0.01 -0.03
C -3.251093 -2.301868 -1.089983 -0.01 0.00 0.02
C -2.765247 -1.371729 -1.993625 0.01 0.00 0.01
C -1.947836 -0.364098 -1.524845 0.00 0.00 -0.04
N -1.593290 -0.259101 -0.239319 -0.11 0.20 0.11
H 2.593187 -1.676570 3.036468 0.00 0.00 0.01
H 1.868536 -3.089622 2.265381 0.00 0.01 0.00
H 1.378628 -2.645301 3.906898 0.00 -0.01 0.00
H -0.850138 -2.474883 3.226916 0.01 0.03 0.04
H -1.615020 0.139203 2.331658 -0.01 0.00 -0.02
H -2.662625 -1.205503 2.700177 -0.02 0.00 -0.01
H -3.314757 -2.851580 0.986686 0.01 0.00 0.01
H -3.902031 -3.101416 -1.416444 0.01 -0.01 0.00
H -3.022894 -1.411210 -3.041826 0.00 0.01 0.00
H -1.575477 0.404920 -2.185590 0.00 0.02 -0.02
```
Forces are in eV/Å.

Computed properties:
**Frontier orbital gap**: 8.211 eV
**Net charge**: +1
**Molecular weight**: 378.70 g/mol
**LUMO level**: -0.166 Eh
**Largest force on an atom**: 0.5 eV Å⁻¹
**2S+1**: 1
**Energy**: -1059.576125 hartree
**Energy relative to the best compared isomer or geometry (same formula, charge and spin)**: 119.1 kJ/mol

Atom charges from the natural (NBO) analysis, given in e for atoms 1 to 6: 1.091 -0.539 0.735 -0.655 0.104 -0.188

=====

Record 1
A cluster of 4 separate species, C10H24N2O6P in total in a non-equilibrium geometry. Source: the OMol25 dataset; level of theory: ωB97M-V with the def2-TZVPD basis set.

frontier orbital gap = 8.58 eV
total charge = +1
multiplicity = 1
HOMO = -13.049 eV

Cartesian coordinates (Å):
C (-0.86826, 1.26805, 2.37769)
C (-1.10945, -0.05175, 1.60107)
C (-1.17723, 0.13656, 0.12637)
C (-2.30224, -0.24227, -0.59690)
N (-2.37007, -0.09556, -1.90751)
N (-1.43381, 0.43085, -2.68429)
C (-0.35661, 0.78645, -2.02634)
C (-0.14595, 0.65104, -0.64523)
C (1.16880, 1.03611, -0.10443)
P (2.24224, -0.45696, -0.29911)
O (1.42077, -1.48553, -0.97640)
O (2.70338, -0.99949, 1.09800)
........
### The text goes on

Following guidance from the teachers of the deaf, children access the mainstream environment using sound field systems and radio aids where necessary. The majority of our school staff are trained in BSL, and signing is part of our languages curriculum so that all children are taught how to communicate inclusively.